It’s a beautiful day here in Seattle! Jay is off to the dog park and I’m drawing.
NEXT UPDATE: Wednesday.
/*
Below is a cluster of 2 separate species, C14H16 in total at a distorted geometry, with properties calculated with ωB97M-V with the def2-TZVPD basis set.

Values from the calculation:
E_HOMO   -8.977 eV
SMILES string   Cc1ccccc1.Cc1ccccc1
M   184.28 g/mol
E_LUMO   0.82 eV
Orbital gap   9.8 eV
ΔE to the lowest compared entry with this formula, charge and spin   62.9 kcal/mol

XYZ file:
```
30
C14H16 ωB97M-V with the def2-TZVPD basis set
C -0.392 -3.987 -0.787
C -0.042 -3.078 0.342
C 0.816 -1.934 0.133
C 1.255 -1.238 1.299
C 0.930 -1.601 2.637
C 0.225 -2.782 2.754
C -0.119 -3.465 1.639
H -1.362 -4.501 -0.673
H 0.506 -4.632 -1.077
H -0.448 -3.285 -1.593
H 1.055 -1.574 -0.796
H 1.727 -0.334 1.267
H 1.098 -1.164 3.594
H 0.018 -3.241 3.773
H -0.564 -4.518 1.684
C 1.564 2.713 -2.465
C 0.321 2.815 -1.750
C -0.794 2.019 -2.028
C -1.899 1.960 -1.187
C -1.877 2.446 0.094
C -0.655 3.082 0.507
C 0.263 3.384 -0.457
H 2.144 1.826 -2.331
H 2.162 3.713 -2.280
H 1.498 3.125 -3.628
H -0.744 1.448 -2.957
H -2.770 1.360 -1.500
H -2.621 2.292 0.801
H -0.489 3.494 1.468
H 1.213 3.995 -0.131
```

----------

# 1
The following is a DFT calculation (ωB97M-V with the def2-TZVPD basis set) of a 2-piece molecular cluster, C5H13NO overall at a distorted geometry.

```
20
Properties=species:S:1:pos:R:3:forces:R:3
O 3.184 0.277 -1.348 -1.1 -0.3 1.3
N 1.456 -1.557 -0.736 0.1 2.4 3.0
C 0.456 -0.395 -0.425 -2.5 -0.3 -2.4
C -1.609 1.628 0.434 -4.4 -2.6 0.2
C -1.971 -0.202 0.560 3.3 1.1 0.4
C -0.838 -1.121 -0.038 -0.8 3.6 0.0
C 0.893 0.719 0.494 0.6 -3.5 -1.3
H -0.427 -1.757 0.647 0.1 -2.2 2.2
H -1.152 1.116 1.351 1.5 1.1 -1.8
H -1.802 -0.120 1.625 -1.0 -1.7 0.7
H 1.922 -1.626 0.213 -0.8 -0.9 -0.7
H 1.410 1.138 -0.349 1.5 2.7 0.6
H -2.138 1.941 1.443 -0.3 0.3 -1.5
H 2.280 -1.014 -1.082 0.3 0.4 -1.5
H -2.594 1.893 -0.369 4.1 -0.3 2.2
H 0.211 0.203 -1.374 0.8 -1.3 0.8
H 1.162 0.470 1.547 -0.4 1.0 -0.7
H -2.874 -0.645 0.251 -1.6 0.4 0.0
H -1.286 -1.640 -0.843 0.1 -0.7 -1.0
H 3.717 0.692 -2.003 0.5 0.6 -0.7
```
Forces are in eV/Å.

Output
- strongest force on any atom (eV Å⁻¹) = 5.104
- frontier orbital gap (Eh) = 0.192
- charge = 0
- ΔE to the lowest compared entry with this formula, charge and spin (kcal per mole) = 305.60
- molar mass (g mol⁻¹) = 103.165

---

# 2
The following is a DFT calculation (ωB97M-V with the def2-TZVPD basis set) of a 2-piece molecular cluster, C5H13NO overall at a distorted geometry.

```
20
Properties=species:S:1:pos:R:3:forces:R:3
O 1.876 -0.564 -1.610 -0.4 0.2 -0.2
N 2.489 0.469 0.258 0.2 0.1 1.1
C 1.873 1.826 -1.689 0.1 -0.2 0.7
C -2.096 -1.658 -0.201 -1.2 1.5 0.1
C -1.805 -0.079 1.728 -0.3 0.5 -0.1
C 1.977 0.493 -1.015 1.0 -1.1 0.0
C -1.093 -0.906 0.674 0.4 -0.6 -1.0
H -0.513 -0.293 -0.043 -0.2 0.1 0.7
H 2.782 -0.418 0.635 -0.3 -0.3 -0.4
H -1.733 -2.528 -0.739 -0.1 0.0 0.1
H -0.346 -1.613 1.057 -0.3 0.2 0.4
H -1.089 0.630 2.152 -0.3 -0.1 0.4
H -2.484 -0.887 -0.893 0.3 -0.6 -0.3
H 1.244 1.749 -2.574 0.0 0.3 0.2
H -2.640 0.506 1.307 0.5 0.0 -0.3
*/
It’s a beautiful day here in Seattle! Jay is off to the dog park and I’m drawing.
NEXT UPDATE: Wednesday.
When I was a little kid, someone got me John Coyne’s novel Hobgoblin for a birthday present. (It was probably 1983~1984.) Of course, the novel was pretty bad and forgettable; I don’t remember it clearly except for the beginning, the ending and a scene in-between when the game-crazed hero is running a “one-on-one role-play session” with the girl he likes, which involves getting her in his bedroom and having her roll up a “Maiden in Distress” type character so she can be kidnapped by lusty orcs or something. (Why would my 9-year-old self remember this scene? -_-;; ) “Hobgoblin” is basically “Mazes & Monsters” anti-D&D hysteria mixed with a murder-thriller plot; the one pseudo-pro-D&D element of it all is that the delusional teenage hero isn’t the killer, and ends up beating the bad guy (some kind of psycho… I forget) with his RPG-gained skills.
There’s one thing about “Hobgoblin” that stands out to me now: the D&D-esque “Hobgoblin” game that the main characters play uses cards, not dice. This was obviously because John Coyne was too stupid to understand how D&D was actually played, and/or he thought his readers wouldn’t understand it (or more charitably, he wanted to come up with something original, and he liked the iconography of Tarot Cards), but looking back on it from 30 years in the future, it totally makes me think: MAGIC THE GATHERING. (No, not Everway.) It’s just like Magic, plus a role-play element! Everyone in Coyne’s “Hobgoblin” is totally getting it on (sometimes literally) with cards at recess, getting into their gameworld, but it’s all cards, cards, cards, with nary a polyhedral die involved. A parallel universe? Or a prediction of the future 12 years after he wrote the book? Sadly, though, Magic, unlike Hobgoblin, has never had a roleplay element, which is the main reason I’ve never been very into it.
My wife and I will be filming a short zombie movie (a snippet, really) this weekend. Fingers crossed that it goes well!
I recently saw the movies “The Dead Outside” and “The Battery”, and I have to say — I’m tired of zero-budget zombie indie films. “The Battery” was especially awful, just endless padded-out scenes of two losers driving around the backroads listening to music and doing nothing — I appreciate that they gave the characters some depth but seriously, what a boring drag of a film. “The Dead Outside” had a great cover, which is the main reason I watched it, but I should’ve detected from the overall lack of reviews that it was one of those things no one cared enough to talk about — which is basically how I feel about it too. Again, it managed to muster up a bit of a character drama, but it was just. SO. SLOW.
Essentially, when I seek out a movie with zombies in it, I want to watch a horror film. I don’t want to watch character studies masquerading as horror films, especially when they’re such stretched-out, thin-soup studies. It’s possible to tell interesting character studies while also having some terror or action. I recognize that this isn’t a requirement of drama, but if you want to appeal to horror fans, it is.
NEXT UPDATE: Wednesday!
I’ve almost run out of sweeteners to put in my morning coffee. I actually prefer sugar, but currently we only have honey in the house… however, even the honey has now dwindled down to barely a quarter-inch, hardly enough to sweeten a cup of coffee even if I can scrape it up enough to put it in the cup. I think it’s time for a trip to the store…
(This is my attempt at a manga artist’s dust-jacket-flap autobiographical piece)
As I’ve mentioned now and then, lately I’ve been watching so many zombie movies the mind boggles. Often I’m only half-watching these, keeping them on in the background while I draw or cut out cards, but I’ve absorbed quite a few new ones lately.
Firstly: nearly every free streaming zombie movie available on Netflix is awful. Dear lord, they are terrible. “State of Emergency” and “Extinction” — both the absolute pits, just as bad as Uwe Boll’s “Zombie Massacre,” but less funny. Their would-be serious tone, when coupled with their empty scripts and micro-budget (apparently every zombie disaster must be filmed from within a ruined warehouse, an abandoned factory or some other conveniently empty rundown building where no one on Earth would ever go — filming in the suburbs or apartment buildings where people actually live would be too expensive), is somehow even more aggravating than the SyFy-channel bad-CG bombast of something like “Rise of the Zombies.” And the half-assed plots, like they were stories written by someone who’d heard of the existence of “28 Days Later” but never watched it, and besides they only had $50 to make the entire movie… I just want to kick the filmmakers in the back of the knees.
“The Battery” and “The Dead Outside,” by contrast, were boring, but needless to say, way better than films like the ones I just mentioned. They’re unapologetic character studies that just happen to be set in the middle of a zombie apocalypse. They’re both just so incredibly slow-paced. I suppose I like “The Dead Outside” better partly because there’s a female character in the cast and everyone has Scottish accents. -_-;; OTOH, “The Battery” is probably the slightly deeper of the two. Also, it does have the scene where a man masturbates while watching a zombie writhe around trying to get to him, so that’s original.
Then there’s all the ’80s garbage buried around on youtube — “The Video Dead” (like a home movie I could’ve made back then), “Toxic Zombies” (completely inept)… I’m sure I’ve glanced at several others but I can’t remember them offhand. Obviously I’m being masochistic here and have no one to blame but myself. “Dawn of the Mummy” (one of the only Egyptian horror films!) is a real classic in comparison.
Whew! So much complaining! It’s like I’m on the Internet or something! I’ll try to write some good things about some zombie movies (or books) in my next post.
Next to the entry, the page also holds data records
=====
99
Properties=species:S:1:pos:R:3:forces:R:3:lowdin_charge:R:1 method="wB97M-V/def2-TZVPD" homo_lumo_gap_ev=1.6 e_lumo_ev=-8.81 charge=+2
C -3.439 9.794 5.803 -0.184 -0.599 0.007 -0.107
C -3.581 8.653 4.633 2.078 4.590 -1.514 -0.256
C -2.250 8.541 3.664 -0.725 -0.707 -0.757 -0.195
C -2.823 8.373 2.116 -0.599 -0.197 0.987 -0.200
C -3.588 6.903 1.943 0.841 -0.244 0.012 -0.196
C -2.558 5.808 1.216 -0.644 0.122 -0.757 -0.193
C -3.246 5.368 -0.243 1.129 -0.133 0.087 -0.215
C -2.271 4.275 -1.021 0.142 0.074 0.301 -0.195
C -2.336 2.756 -0.332 0.150 0.698 -0.138 -0.175
C -1.914 1.568 -1.396 -1.111 -0.177 1.211 -0.252
C -2.961 0.288 -1.143 -0.184 0.937 -0.646 -0.283
C -2.455 -1.117 -1.802 -0.666 0.080 -0.812 -0.229
C -1.882 -2.237 -0.753 0.808 -0.783 -1.159 -0.450
C -2.919 -3.252 0.022 -0.102 -0.802 -0.070 -0.034
B -4.159 -2.510 0.807 -0.647 0.779 4.888 -0.439
O -4.214 -2.483 2.312 0.079 0.761 -6.338 0.036
O -5.271 -1.801 0.115 2.088 -1.646 -1.308 -0.207
S -0.817 -1.198 0.446 1.489 0.662 -1.055 1.033
C 0.682 -1.029 -0.727 -3.183 -4.184 0.913 -0.665
S 2.017 0.283 -0.672 -0.754 -0.764 -0.021 0.789
N 0.483 -2.125 -1.533 2.885 2.596 0.340 0.020
C -0.682 -3.138 -1.497 0.625 0.490 -0.615 -0.311
C -0.197 -4.534 -0.794 0.508 -0.914 0.215 -0.111
C 0.690 -4.380 0.570 1.161 -0.991 -0.199 -0.211
C 2.028 -5.370 0.405 -0.711 -1.125 0.456 -0.430
S 3.228 -4.603 -0.869 1.168 -0.803 -0.085 0.780
C 4.687 -5.739 -1.175 0.493 -2.498 1.404 -0.945
S 4.923 -7.261 -0.378 -0.530 3.824 -1.957 0.684
N 5.763 -5.276 -2.172 3.913 2.233 -3.484 -0.154
C 5.679 -5.075 -3.674 3.301 1.426 -0.947 -0.001
C 7.130 -4.531 -4.297 -3.102 -1.533 5.295 -0.050
N 8.059 -4.414 -3.098 -6.982 -2.575 1.182 -0.132
C 7.219 -4.886 -1.902 0.431 0.778 -2.734 -0.076
O -0.832 -3.360 -2.975 -2.201 -1.815 2.807 0.062
B -1.871 -4.362 -3.264 -1.870 -1.012 -1.251 -0.499
O -1.678 -5.835 -3.333 0.531 3.289 -1.162 0.072
O -3.266 -3.889 -3.578 3.702 -0.946 -1.547 0.039
H -2.302 10.015 6.035 -2.427 -0.529 -0.509 0.098
H -3.961 9.413 6.797 1.010 0.987 -2.087 0.100
H -3.984 10.787 5.429 1.168 -2.213 0.826 0.113
H -4.492 8.886 3.936 1.122 -1.081 1.597 0.142
H -3.762 7.586 5.101 0.175 -1.715 0.902 -0.108
H -1.663 7.553 3.900 -0.904 2.079 -0.310 0.110
H -1.539 9.493 3.744 -1.660 -2.070 0.151 0.135
H -1.898 8.458 1.404 -1.936 -0.078 1.137 0.116
H -3.613 9.243 1.938 1.871 -1.717 0.126 0.117
H -3.881 6.423 2.980 0.491 1.262 -1.929 0.094
H -4.582 7.030 1.321 2.109 -0.286 1.160 0.113
H -1.505 6.310 0.989 -2.243 -1.132 0.525 0.116
H -2.375 4.858 1.905 -0.475 2.042 -1.510 0.116
H -4.334 4.952 -0.070 2.129 0.774 -0.356 0.110
H -3.300 6.332 -0.929 -0.011 -1.944 1.496 0.121
H -1.150 4.677 -0.952 -2.436 -1.030 -0.314 0.108
H -2.570 4.198 -2.171 0.557 0.159 2.444 0.112
H -3.446 2.565 0.060 2.357 0.319 -0.902 0.121
H -1.606 2.733 0.599 -1.544 -0.053 -1.929 0.128
H -2.130 1.976 -2.496 0.756 -0.427 2.186 -0.072
H -0.788 1.258 -1.341 -2.122 0.738 -0.146 0.085
H -3.948 0.604 -1.736 1.892 -0.720 1.298 0.087
=====
Last Sunday my wife and I filmed a 5-minute zombie movie in Woodland Park in Seattle. I hadn’t filmed anything since college, unlike my wife who is a passionate filmmaker/videographer; she was the director of the piece. It’s not a great time of year to film outdoors in Seattle; the sun was only really up from about 8am to 3:30pm, and we were up at 6 and in the park at 8, camped out in a picnic shelter, starting a fire and prepping coffee for all the zombie actors who’d shortly be coming our way.
Unfortunately, due to various delays, we didn’t really get started filming till about 9, but Jay still managed to get lots of good footage of people running around the forest getting chased by various types of undead. My biggest props go out to the makeup artists, Beth Hammer and Margot Cannon, who produced 8 astounding and distinct types of zombie makeup in just a few hours… I *LOVE* makeup & costuming and it was awesome to see real experts at work. If I have one regret about the whole day, it’s that we didn’t use enough of the green zombies (yes, the zombies were color-coded)… I wanted to save them till the end of the video for a surprise but by the time we got to those scenes the light was fading and we didn’t get to shoot as much footage as we wanted. So, green zombies everywhere, I apologize! As for the film, hopefully I’ll be able to link to it in a few weeks.
NEXT UPDATE: Wednesday!
The article is interrupted by records of molecules:
+++
C8H10ClCuN2 as an isolated structure at a distorted geometry, computed with the ωB97M-V functional and the def2-TZVPD basis.

The orbital gap (spin up / spin down) comes out at 4.789 / 1.754 eV. Its highest occupied orbital energy (spin up / spin down) is -9.43 / -9.43 eV. The calculation puts the energy above the lowest of the compared OMol25 structures with the same formula, charge and spin at 21.22 kcal per mole. Its multiplicity is 2. Its net charge is +1.

```
22
Properties=species:S:1:pos:R:3:forces:R:3
Cu 0.46254 -12.34355 6.38497 -1.60 -0.80 -0.84
Cl -1.51946 -13.15327 5.18197 1.63 0.88 0.78
N -2.90904 -16.36844 6.12704 -0.46 0.71 -0.35
C -4.13282 -16.87420 6.48340 1.08 -0.64 0.20
C -3.91431 -18.21340 6.77811 -1.49 1.26 0.04
C -2.56576 -18.48160 6.54425 0.60 -1.14 0.33
C -1.94466 -17.33332 6.13851 -0.38 0.20 -0.03
H -2.78250 -15.41197 5.84287 0.25 -0.02 -0.03
H -4.99167 -16.22902 6.52717 -0.11 -0.11 0.05
H -4.69961 -18.84275 7.16512 0.22 -0.31 -0.11
H -2.13422 -19.45599 6.71865 0.27 0.15 -0.17
H -0.93988 -17.11550 5.82358 0.05 -0.06 0.08
N -1.85508 -8.35536 2.22762 0.71 -1.04 0.46
C -1.08144 -9.39951 2.65340 -0.58 1.20 -0.87
C -1.86314 -10.57939 2.54772 0.12 -0.69 -0.36
C -3.10291 -10.22245 2.07106 0.02 -0.87 0.48
C -3.09068 -8.84659 1.87691 0.66 1.76 0.02
H -1.46359 -7.43223 2.12267 -0.50 0.23 -0.07
H -0.04188 -9.21549 2.87220 0.02 -0.28 0.23
H -1.44625 -11.56682 2.68488 -0.32 -0.05 0.39
H -3.95884 -10.85880 1.91841 0.08 -0.06 -0.12
H -3.81391 -8.12789 1.52246 -0.29 -0.32 -0.08
```
Positions in Å, forces in eV/Å.

Results of the natural (NBO) charge analysis, in e, for atoms 1 through 8: 0.847, -0.829, -0.503, -0.084, -0.303, -0.304, -0.087, 0.414

----------

# 1
The following is a DFT calculation (ωB97M-V/def2-TZVPD) of a structure of composition C11H5N2O5Pt in a non-equilibrium geometry.

Each line ends with the Löwdin spin population.
Cartesian coordinates (Å):
O1 -0.174 3.034 -1.624  0.18
C1 -0.167 1.886 -1.583  0.24
Pt1 -0.154 0.035 -1.549  0.20
C2 -0.142 -1.827 -1.635  0.15
O2 -0.134 -2.970 -1.689  0.09
C3 -0.155 0.032 -3.677  0.09
O3 -0.240 -0.948 -4.370  0.10
C4 1.683 0.040 -1.792  0.23
O4 2.824 0.067 -1.926  0.17
C5 -1.991 0.016 -1.791  0.20
O5 -3.133 0.027 -1.924  0.14
H1 -0.067 1.035 -4.157  0.01
N1 3.284 -0.380 3.904  0.00
C6 2.283 -0.273 3.332  0.00
C7 1.040 -0.137 2.621  0.00
C8 -0.160 -0.011 3.320  0.00
C9 -1.353 0.126 2.617  0.00
C10 -1.332 0.136 1.221  0.01
N2 -0.155 0.011 0.535  0.15
C11 1.021 -0.126 1.220  0.01
H2 -0.173 -0.017 4.404  0.00
H3 -2.291 0.225 3.149  0.00
H4 -2.269 0.248 0.701  0.00
H5 1.956 -0.226 0.693  0.00

- <S²> = 2.015
- multiplicity = 3
- LUMO energy (alpha / beta) (eV) = -4.39 / -4.54
- charge = +1


# 2
The following is a DFT calculation (ωB97M-V/def2-TZVPD) of an isolated molecule of C21H32N4O in a non-equilibrium geometry.

Each line ends with the natural charge from an NBO analysis.
Cartesian coordinates (Å):
C1 -3.555 -4.513 0.783  -0.60
C2 -3.479 -2.991 0.878  -0.21
+++
So what zombie movies have I been watching lately that are actually *good*? Here’s two random selections…
I’d have to say that MUTANT (1983), while not exactly a good movie, was better than I expected. After watching all those lame Netflix zombie movies, just seeing a movie with basic filmmaking competence was a nice surprise. The film has a lot of buildup time, but it’s handled well, leading up to the appearance of the monster(s) in the final 30 minutes. There’s a few good lines of dialogue as well. Perhaps I’m just being nostalgic because I remember seeing “Mutant” in the video store when I was a kid (with that deceptive “space aliens” artwork on the cover, since there aren’t any space aliens in the movie, or indeed any monsters that look like that), and perhaps it’s easier to make a good-looking cheap movie on ’80s VHS than 2000s HD digital video, but it managed to keep my attention throughout the entire run of the film. And now I know about the existence of this dude named Wings Hauser.
RAMMBOCK: BERLIN UNDEAD (in which the creatures aren’t really ‘undead’, but anyway), as I’ve mentioned earlier on this blog, is one of the best of the recent rage-zombie movies. It can hardly be called a movie since it’s only about 60 minutes long, but it’s just long enough and it has a lot of interesting twists and genuinely well-portrayed emotional moments. And the action scenes are solid.
I’ve got a champion now for the worst ‘zombie’ movie I’ve ever watched: FROZEN SCREAM (1975). This is the most ineptly made movie I’ve ever seen. It’s one of those things that’s so amazingly bad, it’s hard to imagine that anyone working on it ever thought it was ready to show to other human beings. The actors would all be senior citizens now, could they dare to face up to the existence of this movie if they were reminded of it? Like aged war criminals, what would they do when confronted with evidence of their pasts? WHO WILL TAKE RESPONSIBILITY???
Anyway, it’s so bad I couldn’t watch more than a few minutes of it. It’s the kind of movie that MST3K was made for, although apparently it was never shown there (on a side note, I wonder if the makers of MST3K ever considered doing a companion show that would cover bad movies with too much sex & violence to show up on regular MST3K? Not that Frozen Scream really has any of that either). This review of it really says it all.
I’m traveling in Washington, DC and Virginia right now, so I set this post to update while I’m away. When I get back, I’ve got to get right to work on:
* a RPG map
* a new poster
* revising/fixing up the Dreamlands Map poster (the original files were damaged, unfortunately)
* the basic design of the cover for the game I’m working on
Hope you all had a good Thanksgiving weekend, if you’re in America, or just a good weekend, if you’re elsewhere!
NEXT UPDATE: Wednesday!